Exercise:
Search the material underneath for the word "Principal" and return each line that has it.

Source:
/*
This entry pairs a crystal structure of La2Sn3Au5 with its computed powder diffraction line list. Radiation: Cu Kα. Structure: a crystal structure in Alexandria, relaxed with GGA-PBE.

Cell and atoms:
Cell lengths 13.0721, 12.9679, 6.6743 Å; angles 90.00, 120.45, 90.00 degrees
Space group C2/c (No. 15)
Asymmetric unit:
La: 0.2351 0.1288 0.2450 x8
Sn: 0.0000 0.4922 0.7500 x4
Sn: 0.1229 0.1318 0.6493 x8
Au: 0.0000 0.0128 0.2500 x4
Au: 0.0000 0.2491 0.2500 x4
Au: 0.0000 0.2739 0.7500 x4
Au: 0.1459 0.3837 0.1740 x8

Principal peaks in the range 2θ = 10–90°, low angle first:
2θ/deg	d [Å]	I (rel.)	hkl
15.73	5.634	22	2 0 0
30.62	2.920	60	4 2 -1
31.09	2.877	64	0 0 2
31.21	2.866	28	4 0 -2
31.85	2.810	76	2 4 0
38.72	2.325	100	2 4 -2
42.07	2.148	30	6 0 -2
42.51	2.126	33	4 4 0
44.63	2.031	25	4 2 1
44.76	2.025	21	6 2 -1

---

This entry pairs a crystal structure of La2Sn3Au6 with its computed powder diffraction line list. Radiation: Cu Kα. Structure: a crystal structure in Alexandria, relaxed with GGA-PBE.

Cell and atoms:
Cell lengths 9.5424, 13.8003, 4.0884 Å; angles 90.00, 90.00, 90.00 degrees
Space group Cmmm (No. 65)
Asymmetric unit:
La: 0.2122 0.0000 0.0000 x4
Sn: 0.0000 0.2549 0.0000 x4
Sn: 0.0000 0.5000 0.5000 x2
Au: 0.0000 0.1069 0.5000 x4
Au: 0.1942 0.3407 0.5000 x8

Principal peaks in the range 2θ = 10–90°, low angle first:
2θ/deg	d [Å]	I (rel.)	hkl
21.74	4.088	43	0 0 1
31.60	2.831	100	2 2 1
34.00	2.637	73	0 4 1
34.27	2.616	57	3 3 0
36.37	2.470	43	3 1 1
40.55	2.225	21	1 5 1
40.95	2.204	37	3 3 1
43.69	2.072	33	2 6 0
44.31	2.044	37	0 0 2
57.19	1.611	27	3 3 2

---

This entry pairs a crystal structure of La3Sn3Au with its computed powder diffraction line list. Radiation: Cu Kα. Structure: a crystal structure in Alexandria, relaxed with GGA-PBE.

Cell and atoms:
Cell lengths 11.7939, 4.7630, 15.6052 Å; angles 90.00, 109.79, 90.00 degrees
Space group C2/m (No. 12)
Asymmetric unit:
La: 0.0313 0.0000 0.3825 x4
La: 0.0996 0.0000 0.9229 x4
La: 0.2388 0.0000 0.2301 x4
Sn: 0.0228 0.5000 0.2314 x4
Sn: 0.1233 0.5000 0.0758 x4
Sn: 0.1398 0.5000 0.5427 x4
Au: 0.2365 0.5000 0.3878 x4

Principal peaks in the range 2θ = 10–90°, low angle first:
2θ/deg	d [Å]	I (rel.)	hkl
29.14	3.065	82	1 1 3
29.58	3.020	91	1 1 -4
30.36	2.944	42	4 0 -2
33.72	2.658	46	3 1 -4
36.00	2.495	100	3 1 2
36.24	2.479	26	4 0 -5
36.72	2.447	25	0 0 6
37.78	2.381	67	0 2 0
58.08	1.588	30	7 1 -3
67.06	1.396	24	3 3 2

---

This entry pairs a crystal structure of LaSn3Au3 with its computed powder diffraction line list. Radiation: Cu Kα. Structure: a crystal structure in Alexandria, relaxed with GGA-PBE.

Cell and atoms:
Cell lengths 8.5164, 8.5164, 18.2114 Å; angles 90.00, 90.00, 120.00 degrees
Space group R-3 (No. 148, hexagonal axes)
Asymmetric unit:
La: 0.0000 0.0000 0.1668 x6
Sn: 0.0013 0.3101 0.5928 x18
Au: 0.0017 0.3470 0.4159 x18

Principal peaks in the range 2θ = 10–90°, low angle first:
2θ/deg	d [Å]	I (rel.)	hkl
20.86	4.258	40	1 1 0
25.55	3.486	32	1 1 3
29.43	3.035	33	0 0 6
36.35	2.472	66	1 1 6
36.55	2.458	100	3 0 0
47.60	1.910	50	3 0 6
52.50	1.743	22	4 -2 6
65.66	1.422	21	4 1 6
65.80	1.419	17	3 3 0
73.31	1.291	23	3 0 12

---

This entry pairs a crystal structure of La4SnAu2 with its computed powder diffraction line list. Radiation: Cu Kα. Structure: a crystal structure in Alexandria, relaxed with GGA-PBE.

Cell and atoms:
Cell lengths 6.0420, 6.0420, 14.7906 Å; angles 90.00, 90.00, 90.00 degrees
Space group I4/mmm (No. 139)
Asymmetric unit:
La: 0.0000 0.0000 0.2089 x4
La: 0.0000 0.5000 0.0000 x4
Sn: 0.0000 0.0000 0.0000 x2
Au: 0.0000 0.0000 0.4048 x4

Principal peaks in the range 2θ = 10–90°, low angle first:
2θ/deg	d [Å]	I (rel.)	hkl
11.97	7.395	32	0 0 2
20.79	4.272	55	1 1 0
24.06	3.699	23	1 1 2
29.57	3.021	100	2 0 0
32.01	2.796	26	2 0 2
33.74	2.657	80	1 0 5
42.32	2.136	56	2 2 0
45.46	1.995	67	2 1 5
61.39	1.510	25	4 0 0
63.84	1.458	25	3 2 5

---
*/

Worked solution:
Principal peaks in the range 2θ = 10–90°, low angle first:
Principal peaks in the range 2θ = 10–90°, low angle first:
Principal peaks in the range 2θ = 10–90°, low angle first:
Principal peaks in the range 2θ = 10–90°, low angle first:
Principal peaks in the range 2θ = 10–90°, low angle first: